Startup Pitch: Building a smart ecosystem for boats


Two months ago, clickahoy launched its solution for smart boats, which offers owners more security, control and comfort and, thanks to the involvement of partners, also makes professional services more efficient. 40 boats are already equipped with the system and a financing round is now planned to start the growth phase.


A Swiss start-up focusing on marine technology sounds surprising at first glance. Co-founder and CEO Christian Fehr makes no secret of the fact that the business idea did cause astonishment here and there at the beginning. But the team has relevant experience and knew exactly which pain they were addressing with their start-up. Before clickahoy, the founders had already launched the first boat sharing company in Switzerland in 2016.


"Today everything is smart and connected to the Internet," explains Christian Fehr, "from houses to cars to coffee machines, boats are among the rare exceptions." As a result, boat owners for example do not know before a trip whether they need fuel or batteries to be charged.

Clickahoy's solution, which includes an app, sophisticated software and a seaborne computer, informs owners about this, but for example also triggers an alarm when the boat leaves the anchoring ground. The business model is based on a one-time sale of the hardware (seaborne-computer) and an annual fee for the use of the software (mobile app).

At the same time, clickahoy’s platform includes service providers. While the use of their services for boat owners was previously cumbersome, the solution of the start-up now makes this much more efficient.

Successful launch

Just two months after the launch, 40 boats are already crossing the waves with the system and on the service provider side, shipyards, boat builders and sharing companies have been won as partners. "This has already allowed us to double the size of the team", explains Christian Fehr. Further partners and customers are in the pipeline. The start-up is currently equipping a whole fleet of new electric boats with its solution.

One reason for the success is that clickahoy worked closely with potential customers and partners during the development of the software. In this way, many functionalities could be tested and, if necessary, improved before the product launch.

After the successful start, Christian Fehr is now looking for investors to finance the growth. The startup is aiming for a financing round of CHF400k. With the funds, the number of boats equipped with the system is to be increased tenfold and the network expanded to 40 partners. At the same time, Fehr intends to continue investing in the software and to expand the team.

Finally, clickahoy wants to tackle expansion abroad. The Swiss market for marine-tech is after all limited, says the CEO. "We have to go abroad quite quickly."

Startup Pitches 

Someone pasted calculated crystals at this point:
The following is a theoretical powder diffractogram of Cd3AuI. It was derived from DFT lattice parameters and positions (PBE), using CuKα.

Structural model:
a = 5.4057 Å, b = 5.4057 Å, c = 5.4057 Å
α = 90.00°, β = 90.00°, γ = 90.00°
Sites, in units of the cell vectors:
Cd 0.0000 0.0000 0.5000
Cd 0.0000 0.5000 0.0000
Cd 0.5000 0.0000 0.0000
Au 0.0000 0.0000 0.0000
I 0.5000 0.5000 0.5000

The 10 most intense peaks (10° ≤ 2θ ≤ 90°), sorted by position:
16.4 deg, intensity 41, hkl 1 0 0
23.3 deg, intensity 47, hkl 1 1 0
28.6 deg, intensity 33, hkl 1 1 1
33.1 deg, intensity 100, hkl 2 0 0
37.2 deg, intensity 23, hkl 2 1 0
40.9 deg, intensity 22, hkl 2 1 1
47.6 deg, intensity 72, hkl 2 2 0
59.2 deg, intensity 24, hkl 2 2 2
79.3 deg, intensity 32, hkl 4 2 0
88.6 deg, intensity 25, hkl 4 2 2

----------

The following is a simulated powder X-ray diffraction pattern of B12Pb6O25. It was derived from DFT lattice parameters and positions (GGA-PBE), using CuKα.
Neutral-atom scattering factors, no anomalous dispersion.

Structure:
Cell: 8.9019 8.9019 8.9019 Å, 81.52 81.52 81.52°
Atoms (fractional coordinates):
B (0.0000, 0.2304, 0.7696)
B (0.0000, 0.7696, 0.2304)
B (0.1072, 0.1072, 0.5341)
B (0.1072, 0.5341, 0.1072)
B (0.2304, 0.0000, 0.7696)
B (0.2304, 0.7696, 0.0000)
B (0.4659, 0.8928, 0.8928)
B (0.5341, 0.1072, 0.1072)
B (0.7696, 0.0000, 0.2304)
B (0.7696, 0.2304, 0.0000)
B (0.8928, 0.4659, 0.8928)
B (0.8928, 0.8928, 0.4659)
Pb (0.0846, 0.7024, 0.7024)
Pb (0.2976, 0.2976, 0.9154)
Pb (0.2976, 0.9154, 0.2976)
Pb (0.7024, 0.0846, 0.7024)
Pb (0.7024, 0.7024, 0.0846)
Pb (0.9154, 0.2976, 0.2976)
O (0.0000, 0.0000, 0.0000)
O (0.0009, 0.2118, 0.6064)
O (0.0009, 0.6064, 0.2118)
O (0.1082, 0.1082, 0.3784)
O (0.1082, 0.3784, 0.1082)
O (0.1461, 0.1461, 0.8194)
O (0.1461, 0.8194, 0.1461)
O (0.1806, 0.8539, 0.8539)
O (0.2118, 0.0009, 0.6064)
O (0.2118, 0.6064, 0.0009)
O (0.3784, 0.1082, 0.1082)
O (0.3936, 0.7882, 0.9991)
O (0.3936, 0.9991, 0.7882)
O (0.6064, 0.0009, 0.2118)
O (0.6064, 0.2118, 0.0009)
O (0.6216, 0.8918, 0.8918)
O (0.7882, 0.3936, 0.9991)
O (0.7882, 0.9991, 0.3936)
O (0.8194, 0.1461, 0.1461)
O (0.8539, 0.1806, 0.8539)
O (0.8539, 0.8539, 0.1806)
O (0.8918, 0.6216, 0.8918)
O (0.8918, 0.8918, 0.6216)
O (0.9991, 0.3936, 0.7882)
O (0.9991, 0.7882, 0.3936)

The 12 most intense peaks (10 to 90 degrees two-theta), most intense first:
2θ/deg, d (Å), intensity
15.2, 5.842, 100
23.9, 3.719, 76
25.5, 3.491, 64
10.1, 8.732, 50
30.7, 2.910, 44
31.1, 2.875, 40
34.8, 2.580, 33
27.0, 3.308, 28
45.3, 2.000, 27
46.3, 1.962, 25
20.3, 4.366, 24
30.6, 2.924, 19

The following is a simulated powder X-ray diffraction pattern of Sr2YTlSn2O7. It was derived from DFT lattice parameters and positions (GGA-PBE), using CuKα.
Neutral-atom scattering factors, no anomalous dispersion.

Structure:
Cell: 4.1952 4.1952 12.8035 Å, 90.00 90.00 90.00°
Atoms (fractional coordinates):
Sr (0.0000, 0.0000, 0.1800)
Sr (0.0000, 0.0000, 0.8200)
Y (0.0000, 0.0000, 0.5000)
Tl (0.5000, 0.5000, 0.0000)


This is an article of our start-up pitch series. Until the summer break startupticker in collaboration with Swisspreneur will introduce Swiss start-ups on the search for investors.

(Stefan Kyora)

Picture: A team member tests the clickahoy solution.